• Job:
It remains to return only the last part of the notes underneath, starting with the line that has "37.8782 Å;".

• File:
+++
Record 1
Density functional theory data (r²SCAN) for Ce3Si4Rh4 after structural relaxation.

M_tot: 2.43 μB/f.u.
energy relative to the elements: -1.08 eV per atom

Cell lengths 4.050, 4.176, 24.403 Å; angles 90.00, 90.00, 90.00 degrees
Space group Immm (No. 71)
One atom of each set of equivalent atoms:
Ce 0.000 0.000 0.000 [2 per cell]
Ce 0.000 0.500 0.144 [4 per cell]
Si 0.000 0.000 0.452 [4 per cell]
Si 0.000 0.500 0.301 [4 per cell]
Rh 0.000 0.000 0.250 [4 per cell]
Rh 0.000 0.500 0.401 [4 per cell]

Record 2
Density functional theory data (r²SCAN) for LuF3 after structural relaxation.

M_tot: 0.00 μB/f.u.
energy relative to the elements: -4.45 eV per atom

Cell lengths 6.5755, 6.5755, 6.7612 Å; angles 90.00, 90.00, 120.00 degrees
Space group P-3c1 (No. 165)
One atom of each set of equivalent atoms:
Lu 0.0000 0.3468 0.2500 [6 per cell]
F 0.0000 0.0000 0.2500 [2 per cell]
F 0.0709 0.3756 0.9225 [12 per cell]
F 0.3333 0.6667 0.1831 [4 per cell]

Record 3
Density functional theory data (r²SCAN) for K5InPb8 after structural relaxation.

M_tot: 0.00 μB/f.u.
energy relative to the elements: -0.31 eV per atom

Cell lengths 6.8987, 6.8987, 37.8782 Å; angles 90.00, 90.00, 120.00 degrees
Space group R-3m (No. 166, hexagonal axes)
One atom of each set of equivalent atoms:
K 0.0000 0.0000 0.0000 [3 per cell]
K 0.0000 0.0000 0.1820 [6 per cell]
K 0.0000 0.0000 0.2795 [6 per cell]
In 0.0000 0.0000 0.5000 [3 per cell]
Pb 0.0000 0.0000 0.3726 [6 per cell]
Pb 0.0047 0.5024 0.2321 [18 per cell]

Record 4
Density functional theory data (r²SCAN) for Ca10Si3Pt7 after structural relaxation.

M_tot: 0.00 μB/f.u.
energy relative to the elements: -1.00 eV per atom

Cell lengths 8.7756, 8.7756, 13.8422 Å; angles 90.00, 90.00, 120.00 degrees
Space group P6_3/mcm (No. 193)
One atom of each set of equivalent atoms:
Ca 0.0000 0.2592 0.1069 [12 per cell]
Ca 0.3333 0.6667 0.0000 [4 per cell]
Ca 0.3333 0.6667 0.2500 [4 per cell]
Si 0.0000 0.2852 0.7500 [6 per cell]
Pt 0.0000 0.0000 0.2500 [2 per cell]
Pt 0.0000 0.4077 0.5976 [12 per cell]

Record 5
Density functional theory data (r²SCAN) for Nb3WSe8 after structural relaxation.

excess energy over the best structure of this formula in the dataset: 0.000 eV/atom
M_tot: 1.02 μB/f.u.
energy relative to the elements: -0.88 eV per atom

Cell lengths 13.497, 3.448, 11.956 Å; angles 90.00, 98.54, 90.00 degrees
Space group Cm (No. 8)
One atom of each set of equivalent atoms:
Nb 0.000 0.000 0.000 [2 per cell]
Nb 0.000 0.500 0.259 [2 per cell]
Nb 0.001 0.500 0.745 [2 per cell]
W 0.000 0.000 0.495 [2 per cell]
Se 0.123 0.500 0.597 [2 per cell]
Se 0.125 0.500 0.108 [2 per cell]
Se 0.126 0.000 0.853 [2 per cell]
Se 0.127 0.000 0.358 [2 per cell]
Se 0.373 0.500 0.316 [2 per cell]
Se 0.375 0.000 0.066 [2 per cell]
Se 0.375 0.500 0.810 [2 per cell]
Se 0.378 0.000 0.557 [2 per cell]

Record 6
Density functional theory data (r²SCAN) for TmAl2 after structural relaxation.

M_tot: 0.00 μB/f.u.
energy relative to the elements: -0.57 eV per atom

Cell lengths 7.751, 7.751, 7.751 Å; angles 90.00, 90.00, 90.00 degrees
Space group Fd-3m (No. 227, origin choice 2)
One atom of each set of equivalent atoms:
Tm 0.125 0.125 0.125 [8 per cell]
Al 0.000 0.000 0.500 [16 per cell]

----------

P.
DFT (PBE) results for crystalline Ca2AlAgO5 at its relaxed geometry.

a b c (Å): 5.4165 5.6702 8.6693
angles (deg): 109.06 105.85 90.02
With the nearest neighbours (Å) after each atom.
Atoms (fractional coordinates):
Ca 0.0000 0.0000 0.0000  4 O 2.29-2.45
Ca 0.2153 0.2557 0.5142  4 O 2.29-2.46
Ca 0.5000 0.4541 0.0003  4 O 2.29-2.45
Ca 0.7156 0.7118 0.5137  4 O 2.29-2.46
Al 0.1079 0.6695 0.2554  4 O 1.76-1.84
Al 0.6078 0.0397 0.2553  4 O 1.76-1.84
Ag 0.3468 0.8531 0.7552  4 O 2.04-2.07
Ag 0.8465 0.3551 0.7553  4 O 2.04-2.07
+++

• Here it is:
Cell lengths 6.8987, 6.8987, 37.8782 Å; angles 90.00, 90.00, 120.00 degrees
Space group R-3m (No. 166, hexagonal axes)
One atom of each set of equivalent atoms:
K 0.0000 0.0000 0.0000 [3 per cell]
K 0.0000 0.0000 0.1820 [6 per cell]
K 0.0000 0.0000 0.2795 [6 per cell]
In 0.0000 0.0000 0.5000 [3 per cell]
Pb 0.0000 0.0000 0.3726 [6 per cell]
Pb 0.0047 0.5024 0.2321 [18 per cell]

Record 4
Density functional theory data (r²SCAN) for Ca10Si3Pt7 after structural relaxation.

M_tot: 0.00 μB/f.u.
energy relative to the elements: -1.00 eV per atom

Cell lengths 8.7756, 8.7756, 13.8422 Å; angles 90.00, 90.00, 120.00 degrees
Space group P6_3/mcm (No. 193)
One atom of each set of equivalent atoms:
Ca 0.0000 0.2592 0.1069 [12 per cell]
Ca 0.3333 0.6667 0.0000 [4 per cell]
Ca 0.3333 0.6667 0.2500 [4 per cell]
Si 0.0000 0.2852 0.7500 [6 per cell]
Pt 0.0000 0.0000 0.2500 [2 per cell]
Pt 0.0000 0.4077 0.5976 [12 per cell]

Record 5
Density functional theory data (r²SCAN) for Nb3WSe8 after structural relaxation.

excess energy over the best structure of this formula in the dataset: 0.000 eV/atom
M_tot: 1.02 μB/f.u.
energy relative to the elements: -0.88 eV per atom

Cell lengths 13.497, 3.448, 11.956 Å; angles 90.00, 98.54, 90.00 degrees
Space group Cm (No. 8)
One atom of each set of equivalent atoms:
Nb 0.000 0.000 0.000 [2 per cell]
Nb 0.000 0.500 0.259 [2 per cell]
Nb 0.001 0.500 0.745 [2 per cell]
W 0.000 0.000 0.495 [2 per cell]
Se 0.123 0.500 0.597 [2 per cell]
Se 0.125 0.500 0.108 [2 per cell]
Se 0.126 0.000 0.853 [2 per cell]
Se 0.127 0.000 0.358 [2 per cell]
Se 0.373 0.500 0.316 [2 per cell]
Se 0.375 0.000 0.066 [2 per cell]
Se 0.375 0.500 0.810 [2 per cell]
Se 0.378 0.000 0.557 [2 per cell]

Record 6
Density functional theory data (r²SCAN) for TmAl2 after structural relaxation.

M_tot: 0.00 μB/f.u.
energy relative to the elements: -0.57 eV per atom

Cell lengths 7.751, 7.751, 7.751 Å; angles 90.00, 90.00, 90.00 degrees
Space group Fd-3m (No. 227, origin choice 2)
One atom of each set of equivalent atoms:
Tm 0.125 0.125 0.125 [8 per cell]
Al 0.000 0.000 0.500 [16 per cell]

----------

P.
DFT (PBE) results for crystalline Ca2AlAgO5 at its relaxed geometry.

a b c (Å): 5.4165 5.6702 8.6693
angles (deg): 109.06 105.85 90.02
With the nearest neighbours (Å) after each atom.
Atoms (fractional coordinates):
Ca 0.0000 0.0000 0.0000  4 O 2.29-2.45
Ca 0.2153 0.2557 0.5142  4 O 2.29-2.46
Ca 0.5000 0.4541 0.0003  4 O 2.29-2.45
Ca 0.7156 0.7118 0.5137  4 O 2.29-2.46
Al 0.1079 0.6695 0.2554  4 O 1.76-1.84
Al 0.6078 0.0397 0.2553  4 O 1.76-1.84
Ag 0.3468 0.8531 0.7552  4 O 2.04-2.07
Ag 0.8465 0.3551 0.7553  4 O 2.04-2.07